# Job
Find the line further down that holds "-0.17", then reproduce that line and all lines after it there.

# Data
........
Record 1
Entry from the Open Molecules 2025 dataset: C27H25BrI2N5O4PRu as an isolated structure (ωB97M-V/def2-TZVPD).

As for the LUMO energy (alpha / beta): -3.20 / -3.79 eV. As for the expectation value of S²: 0.757. Its net charge is +1. As for the electronic energy: -5224.08544 a.u. For the relative energy (zero: lowest compared OMol25 entry of this formula, charge and spin), the calculation gives 0.2292 eV. The spin multiplicity is 2. As for the gap between HOMO and LUMO (alpha / beta): 7.25 / 6.80 eV.

Last column: natural (NBO) charge in e.
Cartesian coordinates (Å):
Ru: 0.498 0.792 1.359  0.91
I: 1.542 -0.004 6.323  0.22
C: 2.781 -0.032 4.663  -0.20
C: 4.142 -0.386 4.795  -0.23
C: 4.980 -0.440 3.714  -0.18
I: 6.973 -0.965 4.010  0.20
C: 4.483 -0.149 2.415  -0.04
C: 5.223 -0.181 1.211  -0.12
C: 4.612 0.108 0.022  -0.26
C: 3.243 0.419 0.002  0.09
N: 2.527 0.449 1.103  -0.41
C: 3.125 0.195 2.307  0.10
C: 2.262 0.277 3.430  0.25
O: 0.998 0.654 3.222  -0.60
H: 4.520 -0.619 5.781  0.25
H: 6.274 -0.436 1.242  0.25
H: 5.164 0.094 -0.907  0.24
H: 2.720 0.649 -0.918  0.23
Br: -4.060 -0.120 -1.739  0.08
C: -4.475 1.003 -0.266  0.07
C: -5.770 1.506 -0.255  -0.28
C: -6.190 2.328 0.777  -0.17
C: -5.321 2.648 1.811  -0.22
C: -4.035 2.144 1.796  -0.15
C: -3.583 1.321 0.761  -0.27
C: -2.155 0.885 0.815  0.78
O: -1.462 1.276 1.817  -0.69
O: -1.623 0.210 -0.090  -0.72
H: -6.447 1.241 -1.055  0.24
H: -7.202 2.711 0.773  0.23
H: -5.647 3.280 2.625  0.23
H: -3.343 2.376 2.594  0.24
O: 0.668 2.060 -0.266  -0.59
N: -0.416 2.753 -0.662  0.03
C: -1.030 2.386 -1.795  0.07
C: -2.141 3.077 -2.229  -0.22
C: -2.616 4.141 -1.480  -0.13
C: -1.956 4.499 -0.314  -0.22
C: -0.847 3.786 0.079  0.05
H: -0.606 1.529 -2.291  0.25
H: -2.630 2.759 -3.138  0.25
H: -3.495 4.684 -1.800  0.24
H: -2.292 5.322 0.299  0.25
H: -0.271 3.984 0.971  0.25
C: 0.947 -4.319 0.594  -0.08
N: 0.989 -3.921 1.999  -0.45
C: -0.313 -4.193 2.607  -0.08
N: -1.423 -3.545 1.913  -0.44
C: -1.404 -3.940 0.504  -0.08
N: -0.126 -3.676 -0.163  -0.45
C: 0.109 -2.247 -0.340  -0.54
P: 0.149 -1.427 1.308  1.21
C: 1.375 -2.521 2.154  -0.55
C: -1.390 -2.093 2.067  -0.54
H: 0.790 -5.398 0.554  0.21
H: 1.905 -4.092 0.125  0.20
H: -0.300 -3.870 3.649  0.21
H: -0.478 -5.271 2.580  0.21
H: -2.201 -3.418 -0.027  0.21
H: -1.593 -5.013 0.452  0.21
H: -0.689 -1.799 -0.930  0.26
H: 1.060 -2.086 -0.853  0.23
H: 1.420 -2.266 3.216  0.24
H: 2.371 -2.369 1.732  0.23
H: -2.261 -1.653 1.581  0.24
H: -1.410 -1.821 3.125  0.24

=====

Record 2
Entry from the Open Molecules 2025 dataset: one molecule with the formula C4H8N2O at a distorted geometry (ωB97M-V/def2-TZVPD).

As for the LUMO energy: 0.83 eV. Its net charge is 0. As for the electronic energy: -341.93336 a.u. For the relative energy (zero: lowest compared OMol25 entry of this formula, charge and spin), the calculation gives 1.9126 eV. Its SMILES is CN[C@H](C#N)CO. As for the gap between HOMO and LUMO: 10.80 eV.

Last column: natural (NBO) charge in e.
Cartesian coordinates (Å):
C: -1.862 0.690 0.594  -0.43
N: -0.457 0.262 0.751  -0.61
C: 0.263 -0.006 -0.486  -0.18
C: 1.744 -0.368 -0.239  -0.05
O: 2.498 0.733 0.191  -0.70
C: -0.410 -1.105 -1.214  0.25
N: -0.970 -1.981 -1.719  -0.32
H: -2.531 -0.134 0.859  0.20
H: -2.081 1.544 1.242  0.20
H: -2.123 0.984 -0.430  0.20
H: -0.480 -0.614 1.268  0.36
H: 0.271 0.887 -1.127  0.24
H: 2.173 -0.693 -1.192  0.20
H: 1.815 -1.221 0.459  0.17
H: 2.149 1.024 1.044  0.48

=====

Record 3
Entry from the Open Molecules 2025 dataset: C25H44MnN5O4P as an isolated structure at a distorted geometry (ωB97M-V/def2-TZVPD).

As for the LUMO energy (alpha / beta): 0.22 / 0.14 eV. As for the expectation value of S²: 8.755. Its net charge is 0. As for the electronic energy: -3046.24028 a.u. For the relative energy (zero: lowest compared OMol25 entry of this formula, charge and spin), the calculation gives 0.0000 eV. The spin multiplicity is 6. As for the gap between HOMO and LUMO (alpha / beta): 7.49 / 7.44 eV.
........

# Here it is
C: -6.190 2.328 0.777  -0.17
C: -5.321 2.648 1.811  -0.22
C: -4.035 2.144 1.796  -0.15
C: -3.583 1.321 0.761  -0.27
C: -2.155 0.885 0.815  0.78
O: -1.462 1.276 1.817  -0.69
O: -1.623 0.210 -0.090  -0.72
H: -6.447 1.241 -1.055  0.24
H: -7.202 2.711 0.773  0.23
H: -5.647 3.280 2.625  0.23
H: -3.343 2.376 2.594  0.24
O: 0.668 2.060 -0.266  -0.59
N: -0.416 2.753 -0.662  0.03
C: -1.030 2.386 -1.795  0.07
C: -2.141 3.077 -2.229  -0.22
C: -2.616 4.141 -1.480  -0.13
C: -1.956 4.499 -0.314  -0.22
C: -0.847 3.786 0.079  0.05
H: -0.606 1.529 -2.291  0.25
H: -2.630 2.759 -3.138  0.25
H: -3.495 4.684 -1.800  0.24
H: -2.292 5.322 0.299  0.25
H: -0.271 3.984 0.971  0.25
C: 0.947 -4.319 0.594  -0.08
N: 0.989 -3.921 1.999  -0.45
C: -0.313 -4.193 2.607  -0.08
N: -1.423 -3.545 1.913  -0.44
C: -1.404 -3.940 0.504  -0.08
N: -0.126 -3.676 -0.163  -0.45
C: 0.109 -2.247 -0.340  -0.54
P: 0.149 -1.427 1.308  1.21
C: 1.375 -2.521 2.154  -0.55
C: -1.390 -2.093 2.067  -0.54
H: 0.790 -5.398 0.554  0.21
H: 1.905 -4.092 0.125  0.20
H: -0.300 -3.870 3.649  0.21
H: -0.478 -5.271 2.580  0.21
H: -2.201 -3.418 -0.027  0.21
H: -1.593 -5.013 0.452  0.21
H: -0.689 -1.799 -0.930  0.26
H: 1.060 -2.086 -0.853  0.23
H: 1.420 -2.266 3.216  0.24
H: 2.371 -2.369 1.732  0.23
H: -2.261 -1.653 1.581  0.24
H: -1.410 -1.821 3.125  0.24

=====

Record 2
Entry from the Open Molecules 2025 dataset: one molecule with the formula C4H8N2O at a distorted geometry (ωB97M-V/def2-TZVPD).

As for the LUMO energy: 0.83 eV. Its net charge is 0. As for the electronic energy: -341.93336 a.u. For the relative energy (zero: lowest compared OMol25 entry of this formula, charge and spin), the calculation gives 1.9126 eV. Its SMILES is CN[C@H](C#N)CO. As for the gap between HOMO and LUMO: 10.80 eV.

Last column: natural (NBO) charge in e.
Cartesian coordinates (Å):
C: -1.862 0.690 0.594  -0.43
N: -0.457 0.262 0.751  -0.61
C: 0.263 -0.006 -0.486  -0.18
C: 1.744 -0.368 -0.239  -0.05
O: 2.498 0.733 0.191  -0.70
C: -0.410 -1.105 -1.214  0.25
N: -0.970 -1.981 -1.719  -0.32
H: -2.531 -0.134 0.859  0.20
H: -2.081 1.544 1.242  0.20
H: -2.123 0.984 -0.430  0.20
H: -0.480 -0.614 1.268  0.36
H: 0.271 0.887 -1.127  0.24
H: 2.173 -0.693 -1.192  0.20
H: 1.815 -1.221 0.459  0.17
H: 2.149 1.024 1.044  0.48

=====

Record 3
Entry from the Open Molecules 2025 dataset: C25H44MnN5O4P as an isolated structure at a distorted geometry (ωB97M-V/def2-TZVPD).

As for the LUMO energy (alpha / beta): 0.22 / 0.14 eV. As for the expectation value of S²: 8.755. Its net charge is 0. As for the electronic energy: -3046.24028 a.u. For the relative energy (zero: lowest compared OMol25 entry of this formula, charge and spin), the calculation gives 0.0000 eV. The spin multiplicity is 6. As for the gap between HOMO and LUMO (alpha / beta): 7.49 / 7.44 eV.